Brief:
Quote the part of the contents below that starts with the line with "2.86" and stops after the one with "-3.887".

File:
<<<
## RbTmGaS4 (PBE-GGA)

Data for an optimized crystal structure of RbTmGaS4.

a b c (Å): 6.826 5.689 9.491
angles (deg): 90.00 105.87 90.00
Atoms (fractional coordinates):
Rb1 0.246 0.250 0.456
Rb2 0.754 0.750 0.544
Tm1 0.245 0.250 0.943
Tm2 0.755 0.750 0.057
Ga1 0.245 0.750 0.168
Ga2 0.755 0.250 0.832
S1 0.047 0.750 0.318
S2 0.075 0.750 0.928
S3 0.490 0.517 0.803
S4 0.490 0.983 0.803
S5 0.510 0.017 0.197
S6 0.510 0.483 0.197
S7 0.925 0.250 0.072
S8 0.953 0.250 0.682

Summary:
Crystal system: monoclinic
Space group: No. 11
V: 354.5 Å³ per cell
Magnetic moment: 0.30 μB/cell
Total energy: -66.9 eV for the cell shown
Raw formation energy: -1.213 eV/atom
DOS(E_F): 0.242 states/eV/atom

=====

Record 1
The following is a DFT calculation (PBE) of BeCoTc2 after structural relaxation.

Results
- M_tot (μB per formula unit) = 0.54
- total energy (eV/atom) = -7.855
- formation energy from the elements (meV/atom) = 36
- space-group type = Pmmm (47)

Cell lengths 2.6673, 3.7123, 4.9315 Å; angles 90.00, 90.00, 90.00 degrees
Element x y z (fractional)
Be1 0.0000 0.0000 0.0000
Co1 0.0000 0.0000 0.5000
Tc1 0.5000 0.5000 0.2373
Tc2 0.5000 0.5000 0.7627


Record 2
The following is a DFT calculation (PBE) of Li5Hg6Rh after structural relaxation.

Results
- M_tot (μB per formula unit) = 0.00
- total energy (eV/atom) = -1.858
- formation energy from the elements (meV/atom) = -297
- space-group type = P2/m (10)

Cell lengths 4.6026, 6.7316, 7.3018 Å; angles 90.00, 108.20, 90.00 degrees
Element x y z (fractional)
Li1 0.0000 0.0000 0.0000
Li2 0.3266 0.0000 0.6534
Li3 0.3442 0.5000 0.6873
Li4 0.6558 0.5000 0.3127
Li5 0.6734 0.0000 0.3466
Hg1 0.1673 0.2533 0.3356
Hg2 0.1673 0.7467 0.3356
Hg3 0.5000 0.2405 0.0000
Hg4 0.5000 0.7595 0.0000
Hg5 0.8327 0.2533 0.6644
Hg6 0.8327 0.7467 0.6644
Rh1 0.0000 0.5000 0.0000


Record 3
The following is a DFT calculation (PBE) of CeMnB14 after structural relaxation.

Results
- M_tot (μB per formula unit) = 2.86
- total energy (eV/atom) = -6.957
- formation energy from the elements (meV/atom) = -170
- space-group type = Imma (74)

Cell lengths 7.4056, 7.4056, 7.4056 Å; angles 133.54, 86.55, 111.80 degrees
Element x y z (fractional)
Ce1 0.3773 0.1273 0.2500
Ce2 0.6227 0.8727 0.7500
Mn1 0.0000 0.0000 0.5000
Mn2 0.0000 0.5000 0.0000
B1 0.0040 0.1328 0.8712
B2 0.0294 0.2035 0.3285
B3 0.0294 0.7009 0.8259
B4 0.0851 0.6688 0.4162
B5 0.1985 0.5319 0.6666
B6 0.2204 0.4992 0.3993
B7 0.2204 0.8211 0.7212
B8 0.2384 0.8672 0.3712
B9 0.2474 0.3312 0.9162
B10 0.3653 0.5319 0.8334
B11 0.3750 0.2035 0.6741
B12 0.3750 0.7009 0.1715
B13 0.4001 0.1789 0.8993
B14 0.4001 0.5008 0.2212
B15 0.5999 0.4992 0.7788
B16 0.5999 0.8211 0.1007
B17 0.6250 0.2991 0.8285
B18 0.6250 0.7965 0.3259
B19 0.6347 0.4681 0.1666
B20 0.7526 0.6688 0.0838
B21 0.7616 0.1328 0.6288
B22 0.7796 0.1789 0.2788
B23 0.7796 0.5008 0.6007
B24 0.8015 0.4681 0.3334
B25 0.9149 0.3312 0.5838
B26 0.9706 0.2991 0.1741
B27 0.9706 0.7965 0.6715
B28 0.9960 0.8672 0.1288


Record 4
The following is a DFT calculation (PBE) of LiCaTmTl after structural relaxation.

Results
- M_tot (μB per formula unit) = 0.00
- total energy (eV/atom) = -2.890
- formation energy from the elements (meV/atom) = -202
- space-group type = F-43m (216)

Cell lengths 5.3158, 5.3158, 5.3158 Å; angles 60.00, 60.00, 60.00 degrees
Element x y z (fractional)
Li1 0.0000 0.0000 0.0000
Ca1 0.2500 0.2500 0.2500
Tm1 0.7500 0.7500 0.7500
Tl1 0.5000 0.5000 0.5000


Record 5
The following is a DFT calculation (PBE) of Ac4Pm3Tl4 after structural relaxation.

Results
- M_tot (μB per formula unit) = 0.00
- total energy (eV/atom) = -3.887
- formation energy from the elements (meV/atom) = -237
- space-group type = Immm (71)

Cell lengths 11.4796, 11.4796, 11.4796 Å; angles 160.74, 128.37, 55.62 degrees
Element x y z (fractional)
Ac1 0.0153 0.8368 0.1784
Ac2 0.3416 0.1632 0.1784
Ac3 0.6584 0.8368 0.8216
Ac4 0.9847 0.1632 0.8216
Pm1 0.0000 0.5000 0.5000
Pm2 0.4085 0.4085 0.0000
Pm3 0.5915 0.5915 0.0000
Tl1 0.2792 0.0000 0.2792
>>>

Result:
- M_tot (μB per formula unit) = 2.86
- total energy (eV/atom) = -6.957
- formation energy from the elements (meV/atom) = -170
- space-group type = Imma (74)

Cell lengths 7.4056, 7.4056, 7.4056 Å; angles 133.54, 86.55, 111.80 degrees
Element x y z (fractional)
Ce1 0.3773 0.1273 0.2500
Ce2 0.6227 0.8727 0.7500
Mn1 0.0000 0.0000 0.5000
Mn2 0.0000 0.5000 0.0000
B1 0.0040 0.1328 0.8712
B2 0.0294 0.2035 0.3285
B3 0.0294 0.7009 0.8259
B4 0.0851 0.6688 0.4162
B5 0.1985 0.5319 0.6666
B6 0.2204 0.4992 0.3993
B7 0.2204 0.8211 0.7212
B8 0.2384 0.8672 0.3712
B9 0.2474 0.3312 0.9162
B10 0.3653 0.5319 0.8334
B11 0.3750 0.2035 0.6741
B12 0.3750 0.7009 0.1715
B13 0.4001 0.1789 0.8993
B14 0.4001 0.5008 0.2212
B15 0.5999 0.4992 0.7788
B16 0.5999 0.8211 0.1007
B17 0.6250 0.2991 0.8285
B18 0.6250 0.7965 0.3259
B19 0.6347 0.4681 0.1666
B20 0.7526 0.6688 0.0838
B21 0.7616 0.1328 0.6288
B22 0.7796 0.1789 0.2788
B23 0.7796 0.5008 0.6007
B24 0.8015 0.4681 0.3334
B25 0.9149 0.3312 0.5838
B26 0.9706 0.2991 0.1741
B27 0.9706 0.7965 0.6715
B28 0.9960 0.8672 0.1288


Record 4
The following is a DFT calculation (PBE) of LiCaTmTl after structural relaxation.

Results
- M_tot (μB per formula unit) = 0.00
- total energy (eV/atom) = -2.890
- formation energy from the elements (meV/atom) = -202
- space-group type = F-43m (216)

Cell lengths 5.3158, 5.3158, 5.3158 Å; angles 60.00, 60.00, 60.00 degrees
Element x y z (fractional)
Li1 0.0000 0.0000 0.0000
Ca1 0.2500 0.2500 0.2500
Tm1 0.7500 0.7500 0.7500
Tl1 0.5000 0.5000 0.5000


Record 5
The following is a DFT calculation (PBE) of Ac4Pm3Tl4 after structural relaxation.

Results
- M_tot (μB per formula unit) = 0.00
- total energy (eV/atom) = -3.887